TOG ACADEMY: the Renegade Legion Wiki
Map CaesarsFolly

A Prefect-scale map of Caesar's Folly, created by user Christopher J. Smith.

**Quantum chemistry results, as found in the file:**
┌──
# 1
Entry from the Open Molecules 2025 dataset: a structure of composition C29H39CrN4O5 (ωB97M-V/def2-TZVPD).

Results
2S+1: 2
energy above the lowest of the compared OMol25 structures with the same formula, charge and spin: 0.0 kJ/mol
net charge: 0
⟨S²⟩: 1.1928

The geometry in XYZ format:
```
78
Properties=species:S:1:pos:R:3:forces:R:3
Cr 0.6346 0.4494 0.7228 -0.2 0.3 -0.2
O -1.3276 -1.4447 -1.7466 0.1 0.0 0.0
C -1.1018 -0.4979 -2.7737 0.0 -0.1 -0.1
C 0.1620 0.3302 -2.5983 0.0 0.0 0.0
N 0.2533 1.1979 -1.3965 -0.1 0.0 0.0
C -1.0380 1.8875 -1.1721 0.0 0.0 0.0
C -1.9334 0.9891 -0.3318 0.0 0.0 0.0
O -3.0893 0.7498 -0.6257 0.0 0.0 0.0
O -1.3030 0.5066 0.6938 -0.1 0.1 0.0
C 1.2894 2.2182 -1.6412 -0.1 0.1 0.0
C 1.8531 2.7930 -0.3458 0.1 -0.2 0.0
O 2.5749 3.7618 -0.3861 -0.1 0.1 0.0
O 1.5330 2.1346 0.7372 0.0 0.0 0.0
H -2.0841 -1.1453 -1.2263 0.0 0.0 0.0
H -1.9773 0.1422 -2.8992 0.0 0.0 0.0
H -0.9691 -1.0447 -3.7122 0.0 0.0 0.0
H 0.2284 0.9690 -3.4902 0.0 0.0 0.0
H 1.0309 -0.3265 -2.5965 0.0 0.0 0.0
H -1.5149 2.1772 -2.1112 0.0 0.0 0.0
H -0.8452 2.7899 -0.5881 0.0 0.0 0.0
H 0.8978 3.0352 -2.2551 0.0 0.0 0.0
H 2.1201 1.7811 -2.1927 0.0 0.0 0.0
C 1.4293 -3.3166 5.0847 0.0 0.0 0.0
C 0.8812 -3.0113 3.7159 0.1 0.0 0.0
C -0.3790 -3.4792 3.3350 0.0 0.0 0.0
C -0.9034 -3.2036 2.0832 0.0 -0.1 0.0
C -2.2683 -3.6844 1.6751 0.0 0.0 0.0
C -0.1397 -2.4486 1.1915 -0.1 -0.1 0.0
C 1.1004 -1.9477 1.5534 0.1 0.1 0.1
C 1.6082 -2.2431 2.8243 0.0 0.0 0.0
N 1.7508 -1.0196 0.6774 0.1 -0.2 -0.1
C 2.8700 -1.5346 -0.1244 0.1 0.1 0.1
C 2.3957 -2.6070 -1.1159 0.0 0.0 0.0
C 3.5608 -3.0812 -1.9893 0.0 0.0 0.0
C 4.1466 -1.8912 -2.7563 0.0 0.0 0.0
C 4.6554 -0.8403 -1.7644 0.0 0.0 0.0
C 5.7371 -1.4543 -0.8737 0.0 0.0 0.0
C 5.1409 -2.6342 -0.1042 0.0 0.0 0.0
C 4.6446 -3.6909 -1.0959 0.0 0.0 0.0
C 3.9675 -2.1535 0.7582 0.0 0.0 -0.1
C 3.4915 -0.3691 -0.8915 0.0 0.0 0.0
H 0.6263 -3.4899 5.8022 0.0 0.0 0.0
H 2.0463 -2.4945 5.4509 0.0 0.0 0.0
H 2.0524 -4.2134 5.0657 0.0 0.0 0.0
H -0.9621 -4.0597 4.0430 0.0 0.0 0.0
H -2.7615 -4.2150 2.4889 0.0 0.0 0.0
H -2.2052 -4.3574 0.8179 0.0 0.0 0.0
H -2.9015 -2.8451 1.3797 0.0 0.0 0.0
H -0.5196 -2.2249 0.2027 0.0 0.0 0.0
H 2.5542 -1.8123 3.1292 0.0 0.0 0.0
H 1.5843 -2.2057 -1.7284 0.0 0.0 0.0
H 1.9775 -3.4502 -0.5572 0.0 0.0 0.0
H 3.1985 -3.8325 -2.6964 0.0 0.0 0.0
H 3.3825 -1.4524 -3.4079 0.0 0.0 0.0
H 4.9651 -2.2256 -3.4011 0.0 0.0 0.0
H 5.0651 0.0144 -2.3092 0.0 0.0 0.0
H 6.1163 -0.7020 -0.1752 0.0 0.0 0.0
H 6.5824 -1.7906 -1.4818 0.0 0.0 0.0
H 5.9023 -3.0711 0.5479 0.0 0.0 0.0
H 4.2415 -4.5529 -0.5554 0.0 0.0 0.0
H 5.4783 -4.0499 -1.7073 0.0 0.0 0.0
H 4.3071 -1.4061 1.4829 0.0 0.0 0.0
H 3.5619 -3.0005 1.3171 0.0 0.0 0.0
H 2.7232 0.0764 -1.5214 0.0 0.0 0.0
H 3.8185 0.3967 -0.1805 0.0 0.0 0.0
N 0.5625 0.5213 6.9457 0.0 0.0 0.0
C 0.5519 0.5435 5.5802 0.0 0.0 0.0
C -0.5538 0.0856 4.8561 0.0 0.0 0.0
C -0.5274 0.1396 3.4835 0.0 0.0 0.0
N 0.5140 0.6189 2.7909 0.0 -0.1 0.0
C 1.5649 1.0820 3.4796 0.0 0.0 0.0
C 1.6298 1.0614 4.8524 0.0 0.0 0.0
└──

Caesar's Folly has stunning oceans, beautiful inland seas, and soaring peaks. The world is 35 percent land, consisting of two major continents, Falleon and Falcon, and the Emerald Isles.

The world's mountains are home to several broad-winged avian species, it's largest native life form. More than five thousand varieties of birds live in these mountains. Some have wingspans greater than three meters and are carnivorous, preying on creatures up to the size of Humans. Most of the birds are, however, much smaller and definitely less dangerous.

Lake Gog, in the center of Falleon, is heated by volcanic passages close to the lake bottom. The water temperature is always above freezing, even when the surrounding air is bitterly cold. Due to the lake's size and warmth, squalls and water spouts are frequent along the shore, as the air warmed by the lake meets the colder air from the surrounding plains. Reinforced against these storms, the small fishing villages and communities along the lake look more like bunkers than houses.

The only mineral deposits of any kind are in the Emerald Isles just outside of Strike. Until the disruptions of the recent invasion, a small mining cartel worked them continuously for 200 years.

Early History[]

Initial surveys evaluated Syriph XX as ideal for settlement. Several petitions for colonization were granted, the two largest going to a religious sect, the Minions of Gog, and to a group of prospecting families.

By 4230 more than two million people were living in the two very different communities. The once-spacious continent suddenly seemed too small. As both groups pushed out to settle Falcon and the Emerald Isles, disputes erupted. The colonial Parliament, in which the Minions held a majority, pushed through heavy sanctions against those not of their faith.

The non-Minions tried to ask the Commonwealth for help, but their petitions never left Syriph XX. When rioting broke out, the leaders of the sect proclaimed a Holy War. Heavily armed religious fanatics overran the CAF garrison and executed most of its troops, then took to the streets to kill "the infidels."

When word of the upheaval finally leaked to the Commonwealth, it sent a Carrier Flotilla and three legions. In response, the Minions of Gog opted for mass suicide. By the time the legions landed, there were only a few hundred frightened survivors out of the millions who once lived on Syriph XX.

The disaster was one of the most brutal in recorded history, exceeded only by TOG's total destruction of Durmella and Trothas. The Commonwealth terminated the colonial charter, but allowed the handful of survivors to remain on Syriph XX. They grew into a community of several hundred thousand over the centuries.

The KessRith's arrival in 5030 carried the Snow Plague to the planet. The KessRith had assumed that Syriph XX was as devastated as the rest of the county. However, instead of sickened troops, the KessRith found an elite infantry legion dug in and fully ready for battle. The KessRith lost an armored legion within 36 hours, but the first signs of Plague began to show a week after their arrival. Soon Syriph XX was infected.

As the Human population on Syriph began to recover from the devastation of the Snow Plague, the KessRith created carefully hidden death camps to keep the number low. When the world's Baufrin and Humans finally learned of the camps in 6564, they stormed them and three KessRith command posts, releasing 45,000 condemned slaves and seizing weapons and vehicles.

With all possible reinforcements occupied elsewhere in the County, the KessRith garrison on Falcon dug in for a prolonged war against the rebels. However, without slaves to cultivate its fields and tend its herds, the garrison was soon short of basic foodstuffs and other supplies. After three months of near starvation, the KessRith garrison became its own death camp.

Syriph immediately applied for admission to the renewed Commonwealth, and gradually converted the KessRith cities to homes for a resurgent mankind and its allies. By the time peace had been made with the KessRith empire, Syriph XX was well on its way to becoming a major world in the Commonwealth community.

Recent Events[]

When TOG began its push into Shannedam County, Syriph XX was a crucial staging and resupply world in the county's defense. Security was tight, and so the Lictors had little success there. They were particularly misinformed about when the world was heavily garrisoned (with troops awaiting shipment to the front) and when it was not.

[Calculated molecules, kept here for reference]
~~~
The following is a quantum chemistry calculation of a structure of composition C29H28ClN4O6SV, from OMol25.

Properties
HOMO-LUMO gap (alpha / beta) (eV): 6.8 / 6.8
Energy (eV): -97819.936
Charge: 0
Energy relative to the best compared isomer or geometry (same formula, charge and spin) (kJ/mol): 37.7
HOMO energy (alpha / beta) (eV): -7.978 / -7.978

Each line ends with the natural charge from an NBO analysis.
CARTESIAN COORDINATES (ANGSTROEM)
V: 0.7242 -0.0798 -0.3623  0.7978
O: 1.6156 -3.7181 1.8845  -0.6646
C: 0.7485 -3.5095 2.8878  0.3594
C: 0.8622 -4.3466 4.0028  -0.2863
C: 0.0071 -4.2094 5.0741  -0.1696
C: -0.9943 -3.2380 5.0647  -0.2725
C: -1.1150 -2.4153 3.9675  -0.1498
C: -0.2506 -2.5235 2.8698  -0.1792
C: -0.4222 -1.5986 1.7376  0.5731
O: 0.4640 -1.6731 0.7695  -0.6585
N: -1.4110 -0.7561 1.6941  -0.3832
N: -1.3017 -0.0717 0.5087  -0.2808
C: -2.3653 0.4553 0.0406  0.1582
C: -2.3872 0.9517 -1.3125  -0.2054
C: -3.4902 1.6711 -1.7900  -0.1588
C: -3.5813 2.0356 -3.1174  -0.2519
C: -2.5711 1.6669 -4.0058  -0.1950
C: -1.4781 0.9443 -3.5695  -0.2658
C: -1.3752 0.5805 -2.2204  0.4092
O: -0.3106 -0.1383 -1.8621  -0.5655
H: 1.4510 -3.0315 1.2070  0.5147
H: 1.6437 -5.0951 3.9928  0.2319
H: 0.1161 -4.8669 5.9276  0.2138
H: -1.6680 -3.1334 5.9041  0.2149
H: -1.8832 -1.6545 3.9286  0.2324
H: -3.2802 0.4359 0.6283  0.2017
H: -4.2799 1.9355 -1.0972  0.2191
H: -4.4381 2.5950 -3.4683  0.2205
H: -2.6472 1.9409 -5.0506  0.2192
H: -0.6904 0.6364 -4.2430  0.2324
N: 0.9314 1.9221 -1.0328  -0.4234
C: 0.6426 3.0036 -1.3096  0.6351
N: 0.3395 4.2254 -1.6344  -0.4708
C: -1.0111 4.5340 -2.1247  -0.2043
C: -0.9188 5.1470 -3.5160  -0.4141
C: 0.2510 6.1518 -3.6119  -0.4041
C: 0.7845 6.5397 -2.2366  -0.4135
C: 1.3143 5.3180 -1.4958  -0.1941
H: -1.4831 5.2132 -1.4110  0.1993
H: -1.5874 3.6124 -2.1192  0.2440
H: -1.8706 5.6270 -3.7500  0.2159
H: -0.7846 4.3450 -4.2435  0.2155
H: -0.0599 7.0461 -4.1520  0.2202
H: 1.0659 5.7140 -4.1937  0.2055
H: 0.0027 7.0252 -1.6479  0.2057
H: 1.5952 7.2640 -2.3214  0.2299
H: 1.4867 5.5315 -0.4384  0.2084
H: 2.2572 4.9926 -1.9410  0.2042
S: 2.4490 -0.8308 -1.0492  0.1738
C: 1.4900 -0.2000 5.0713  -0.6492
C: 2.6102 -0.4600 4.1014  0.0008
C: 3.1712 -1.7359 4.0694  -0.2403
C: 4.2081 -2.0505 3.2144  -0.0350
Cl: 4.8660 -3.6600 3.2299  -0.0114
C: 4.7273 -1.1014 2.3530  -0.2330
C: 4.1863 0.1706 2.3767  -0.2179
C: 3.1468 0.4967 3.2394  0.2838
O: 2.7952 1.8315 3.2359  -0.5124
C: 1.4522 2.2410 3.1365  -0.1639
C: 0.7138 1.8329 1.8637  0.7814
O: -0.2707 2.4500 1.5071  -0.6480
O: 1.2415 0.7996 1.2735  -0.6503
H: 1.3579 -1.0686 5.7159  0.2252
H: 0.5336 -0.0392 4.5683  0.2202
H: 1.6934 0.6681 5.7018  0.2173
H: 2.7798 -2.4964 4.7320  0.2262
H: 5.5325 -1.3558 1.6784  0.2269
H: 4.5606 0.9442 1.7201  0.2238
H: 1.4701 3.3296 3.1634  0.2117
H: 0.8424 1.9117 3.9807  0.1992
~~~

In spring of 6829, TOG's 6908th Carrier Patrol Squadron jumped into the system and secured a landing zone on Falcon. TOG believed that resistance would consist of two second-line legions, plus militia. Two legions, the 816th Strike Legion and the 9865th Infantry Legion, were dropped outside Nestle.

The 3131st Shock Legion was simultaneously targeted for Falconton, but it fell victim to the Commonwealth Navy and to a criminally inept tactical drop sequence. The drop commander was condemned in a posthumous court martial, and the 3131st survivors were absorbed into the 9865th. Its colors were returned to Thapsus, where it is currently being reformed.

In the middle of the Nestle landing, a sudden raid by the 90887th Renegade Battle Squadron lured away both the TOG carrier and the 816th's attached fighter wing. Before the ground forces could fully secure their landing zone, they were pummeled by three grav-equipped enemy legions. Both the 816th and the 9865th Infantry Legions were caught in a hellstorm of fire from the world's defenders. Retreating, the legions headed south, hoping to join forces with each other and the 3131st.

Two Renegade Legions encircled the 816th, however, while the 3344th B'ekkal Legion and Second ACR moved to block the 9865th. Caught between two enemy forces, the 816th dug in and waited for the 9865th to turn around and relieve them.

### Someone pasted records of molecules at this point
Formula: C3H4N2O
Source: OMol25
Level of theory: ωB97M-V/def2-TZVPD

Structure (ORCA input):
```
! wB97M-V def2-TZVPD RIJCOSX def2/J DEFGRID3
* xyz 0 1
H -0.6522 2.0889 -2.0116
C -0.3026 1.0389 -1.9402
C 0.1367 -1.3826 1.5534
N 0.5828 -0.4991 2.4333
N 0.6319 0.6684 1.8008
H -1.1855 0.3639 -1.9341
H -0.0488 -2.4753 1.6646
C 0.2369 0.3884 0.4721
O -0.0310 -0.9231 0.3633
H 0.6318 0.7317 -2.4015
*
```

Results
E_HOMO (alpha / beta) = -9.4 / -9.4 eV
gap between HOMO and LUMO (alpha / beta) = 7.87 / 7.78 eV
strongest force on any atom = 5.0 eV/A
E_LUMO (alpha / beta) = -1.549 / -1.622 eV

Here is what Löwdin gives for the atomic charges, in e: number 1, H, carries 0.03; number 2, C, carries 0.18; number 3, C, carries -0.27; number 4, N, carries -0.01; number 5, N, carries -0.02; number 6, H, carries 0.02; number 7, H, carries 0.14; number 8, C, carries -0.08; number 9, O, carries -0.02; number 10, H, carries 0.01


Formula: C3H4N2O
Source: OMol25
Level of theory: ωB97M-V/def2-TZVPD

Structure (ORCA input):
```
! wB97M-V def2-TZVPD RIJCOSX def2/J DEFGRID3
* xyz 0 1
C 0.3359 -0.5775 0.6220
H -1.7751 -1.0773 -0.0408
O 1.0343 -1.4113 -0.2658
H 1.2770 -0.8720 -1.0342
C -0.0020 1.4405 -0.2736
H 0.3107 -1.0806 1.5906
H 0.0808 2.4113 -0.7459
N -1.0628 -0.3769 0.1210
C 0.9709 0.7849 0.4884
N -1.1697 0.7588 -0.4618
*
```

Results
E_HOMO (alpha / beta) = -8.7 / -8.7 eV
gap between HOMO and LUMO (alpha / beta) = 7.61 / 7.62 eV
strongest force on any atom = 0.5 eV/A
E_LUMO (alpha / beta) = -1.119 / -1.119 eV

Here is what Löwdin gives for the atomic charges, in e: number 1, C, carries -0.41; number 2, H, carries 0.15; number 3, O, carries -0.01; number 4, H, carries 0.10; number 5, C, carries -0.21; number 6, H, carries 0.15; number 7, H, carries 0.08; number 8, N, carries 0.03; number 9, C, carries 0.04; number 10, N, carries 0.09


Formula: C3H4N2O
Source: OMol25
Level of theory: ωB97M-V/def2-TZVPD

Structure (ORCA input):
```
! wB97M-V def2-TZVPD RIJCOSX def2/J DEFGRID3
* xyz 0 1
N 0.8210 -1.1573 0.6614
C 0.0622 -0.2842 0.1631
H -1.9715 -1.0443 0.5431
H -1.8029 0.7179 0.4981
N 2.3263 0.6759 -0.2705
O 2.0599 -1.0868 0.6698
H 0.5686 1.7202 -0.8833
H -1.7382 -0.2165 -1.0055
C -1.4441 -0.2159 0.0508
C 1.1187 0.8909 -0.4269
*
```

Results
E_HOMO = -9.9 eV
gap between HOMO and LUMO = 9.38 eV
strongest force on any atom = 1.8 eV/A
E_LUMO = -0.487 eV

Here is what Löwdin gives for the atomic charges, in e: number 1, N, carries -0.05; number 2, C, carries -0.25; number 3, H, carries 0.09; number 4, H, carries 0.08; number 5, N, carries 0.17; number 6, O, carries -0.03; number 7, H, carries 0.12; number 8, H, carries 0.08; number 9, C, carries -0.05; number 10, C, carries -0.15


Formula: C3H4N2O
Source: OMol25
Level of theory: ωB97M-V/def2-TZVPD

Structure (ORCA input):
```
! wB97M-V def2-TZVPD RIJCOSX def2/J DEFGRID3
* xyz 0 1
N 1.5714 0.6723 0.0577
C -2.1634 0.0322 0.1081
H 1.9283 -1.3186 0.6829
C -0.8183 -0.0112 -0.4620
H -0.4742 0.9801 -0.1669

Skillful maneuvering allowed the TOG infantry legion to bypass the Commonwealth B'ekkal legion and throw their might against the Second ACR. The Second began a series of high-risk delays concentrated on the 9865th lead elements, blunting their advance and then withdrawing before the superior weight of the legion could be brought to bear. This action was costly, but it delayed the relief effort long enough to seal the doom of TOG's 816th. The ill-advised assault had been vanquished, and a joyous Parliament declared that Syriph XX would be henceforth be known as "Caesar's Folly."

In August of 6830, however, the 2108th TOG Strike Legion launched a daring second landing on Caesar's Folly. Two Manuses dropped onto Falleon's eastern coast, while a third seized Commonwealth facilities on the Emerald Isles. The 9865th simultaneously feinted at Falleon. The Commonwealth command was unable to coordinate an effective defense, but finally halted the TOG advance across Falleon at Lull and Lake Gog.

After three years of fighting, TOG controls half of the land, but 75 percent of the population is behind Commonwealth lines, those people grimly determined to defend their world.

Planetary Timeline[]


KessRith invade, bringing Snow Plague.


Rebels destroy KessRith death camp.


Two TOG legions surprised by three Renegade Legions.

Second ACR is assigned to 871st Renegade Strike Legion.

816th TOG Strike Legion split from 9865th TOG Infantry Legion and destroyed by RL forces.


TOG Attacks.


871st Renegade Strike Legion destroys 816th TOG Strike Legion.


2108th TOG Strike Legion attacks.